September 2021 Esports update
Welcome back to the new school year and also to this first Esports e-update.
This update covers the mitigations that are being carried over for last year's mid-flight learners, as well as the streamlining mitigation which is in place in case of disruption during this academic year.
We hope that the start of term goes well.
Mark Battye and Colin Leith
Esports Education Summit 2021
AoC Sport and the British Esports Association are running the third annual Esports in Education Summit on Tuesday 28 September 12:20-15:30. Pearson BTEC are sponsoring this virtual event which will bring together Senior Leaders, Curriculum Managers, Lecturers and Team Coaches from across the UK to discuss the impact, developments and opportunities available in competitive gaming within colleges.
Pearson Esports Podcast: Episode 1 - Grants and Funding for Esports Equipment
PlayGetting started with Esports
To ensure smooth delivery of Esports qualifications, the three forms below will help you prepare the resources you will need to deliver the qualification.
- Resource requirements: what you will need
- Approvals checklist: a check that all resources are available
- Approvals form: details of where to send your approval request.
2022 arrangements for 2020-2021 mid-flight learners
Arrangements for learners who were classified as ‘mid-flight’ in 2020/21, and therefore were not eligible for a Qualification-level TAGs.
Now that we understand more from the Ofqual and DfE consultation, and that Qualification-level TAGs will not be permitted in 2021/22, we will need to ensure that all eligible learners ‘bank’ unit-level results in order for their qualification level results to be aggregated in the ‘normal’ way via our systems in 2021/22.
This process will include external assessment that was due to be completed (and where an entry has been made) but the assessment was marked as absent.
We will provide guidance to support you to make unit-level TAG judgements for these learners. This will reflect the guidance that we issued for Q-TAG, but where you will look to available evidence across the content delivered in 2020/21 to make judgements at unit-level. You will have already utilised the ‘Z flag’ to indicate all missed assessment that was due to take place between the eligible period for TAGs judgement; 1 August 2020 – 31 August 2021, we will now ask you to add a unitised grade to this flag. You will also have made external assessment entries in line with our guidance indicating if the learner was due to be assessed during this time, we will ask you to provide a unitised grade for this missed assessment, and we will apply a mid-way point score to enable aggregation.
Streamlined assessment 2021-2022
In 2020-2021 the Qualification-level ‘Teacher Assessed Grade’ (TAG) processes ensured that learners were able to claim certification and move on to the next stage of their education or employment. This meant that we were not able to issue Unit Certificates (also known as Notifications of Performance or NOPs) due to the holistic process put in place.
For 2021-2022 the current regulation from Ofqual does not currently permit TAGs. In consideration of this, we are implementing updated adaptations called ‘streamlined assessment’ for the qualifications listed within this guidance. Streamlined assessment is where you will only be required to assess one Learning Aim from the selected unit.
Not all qualifications are able to use the streamlined adaptations, and some qualifications do not have any assessment adaptations in place, due to their smaller size.
The following principles apply to all learners:
- All content must be taught.
- Centres should plan to take all assessments planned for 2021/22 academic year.
- Centres should prioritise mandatory unit assessments, and those that have been identified as important for learner progression (e.g. linked to HEI admissions).
- Streamlined assessments should only be applied to mandatory units as a last resort.
- Streamlined assessment cannot be applied to units that are synoptic (this is detailed in the relevant specification).
- The option to streamline the number of assessments indicated in the guidance, is at the centre’s discretion and on reflection on the continued impact of the disruption caused by the pandemic on the learners.
- Streamlined assessment is available to create additional time for teaching, learning and access to facilities like workshops, studies and laboratories.
- Where streamlined assessment is applied, centres must assess at least 1 learning aim, of the centres choice, that covers all available grades for the unit.
- The Learning Aim must be assessed, a grade awarded and submitted on EOL with the relevant ‘streamlined flag’ (further administration guidance to follow).
- Centres should continue to ‘bank’ units through the year using the ‘interim’ claims function in EOL.
Centres will need to declare which units have been subject to streamlined assessment (further administration guidance to follow) - Centres can choose to assess all units, and not use the streamlined internal assessment option if they are able to assess all content.
Support for BTEC qualifications
There is a new teaching, learning and assessment page for this academic year. It will keep you up-to-date with the latest news and information and support you as you deliver BTEC qualifications throughout the year.
You will also find it useful to subscribe to the VQ Bulletin, a consolidated briefing from Pearson, which contains all the key updates you need about our vocational qualifications.
Your Centre's Lead Internal Verifiers registration expired on 31 July 2021. Registration for Lead Internal Verifiers for academic year 2021/22 is now open through the OSCA platform on Edexcel Online. Please ensure you register a LIV by 30 September 2021.
The process for the registration and standardisation of LIVs remains the same as in previous years.
Standardisation Materials
Standardisation materials are available to allow centres to complete standardisation activity. The deadline for completion of the standardisation activity is 30 September 2021. Materials will be available through the OSCA platform on Edexcel Online as in previous years. You must have a registered LIV in order to access materials.
The Centre Guides can help you with all the Quality Assurance processes.
We have templates, forms and guides to help you save time and fulfil your part in the BTEC assessment and verification process with ease.
You’re welcome to use your own forms and templates, but it may be worth referring to ours to ensure you’ve got the essentials covered.
The Pearson Quality Advisor Team offer a range of free online events to support all aspects of Quality Assurance in relation to your BTEC programmes. Whatever your role, please take a look at our list of events on offer on our Quality Support Hub Events page. These events are offered on different days and at different times so we are sure you will find a slot to suit you and your teams.
Our next event is 23 September 3.30pm - 4.30pm, a brief overview of the of the Quality Assurance process for 2021/22. We are limiting attendance to 1 person per centre, although we'll be making the recording available.
In order to access the ACS, you will need to complete the form using the following options:
Option | Please select |
Customer options | Teacher & Department Heads |
Issue type | Systems, Tools & Services |
Category type | BTEC Assignment checking Service |
You can then complete the rest of the online form providing all the information relevant to your case, attach the assignment brief once you have submitted the case.
Please ensure that you have also read the ACS terms & conditions.
The Professional Development Academy is a one-stop shop that provides access to a wide range of flexible, high-quality online courses for teachers.
You will find a range of on-demand, live and self-guided training courses creating flexible options for learning at a time that suits individual needs.
Sharing BTEC stories
Do you have any learners who have finished their BTECs in Esports and are starting out with a career, or at university, and making progress?
If they would be willing to share their thoughts about their course and why they think others should do one too, we would love to hear from them!
Their stories would be shared on our website and social media platforms.
Future of Qualifications and Assessment Research
At Pearson we are carrying out research for the second phase of our Future of Qualifications and Assessment project and would like to hear from teachers and lecturers to help us shape our vision. We are looking for professionals teaching in any type of educational institution, working mostly with learners aged 14 or older in any subject or discipline, to participate in a 90-minute online workshop. For those that take part, we'll give you a £20 Amazon voucher to say thanks! The sessions will take place from 4 to 5.30pm on various dates in September. To sign up, please complete the short survey below and we'll get back you soon with more information.
BTEC Nationals in Esports
This is where you will find the specifications for the:
- Extended Certificate
- Foundation Diploma
- Diploma
- Extended Diploma
Delivery Guides are available for Units 1-5. Delivery guides include suggested resources.
We also have schemes of work for a number of units
The document below is intended to provide you with guidance for how you might adapt delivery for the BTEC Nationals in Esports (RQF) in the academic year of 2021-2022.
Streamlined assessment
Streamlined assessment is where you will only be required to assess one Learning Aim from the selected unit.
Streamlined unit assessment means that the number of internally assessed units that need to be assessed in full is reduced, these could be mandatory or optional, but cannot be units that are synoptic.
So, for the BTEC National Foundation Diploma in Esports, Unit 2 would not be eligible.
For the BTEC National Diploma in Esports, Unit 5 would not be eligible.
For the BTEC National Extended Diploma in Esports, Unit 5 would not be eligible.
Authorised Assignment Briefs are available for most units.
You may use Authorised Assignment Briefs 'off the shelf' but they still need to be internally verified.
You may wish to use these as a model for your own assignment briefs and you can have these checked by our Assignment Checking Service.
These event are for all teachers who assess learner work for internally assessed units in this brand new qualification.
During this event you will learn how to accurately assess ‘Pass’ criteria and also ‘Distinction’ criteria. During the session you will have the opportunity, with the Senior Standards Verifier, to assess samples of learner work in order to gain a better understanding of how the evidence submitted by the learner meets the requirements for a ‘Pass’ grade or a ‘Distinction grade. In addition, you will also learn the differences and what constitutes a merit or a distinction. You will be given some useful guidance to refer back to in your assessment of Pass, Merit and Distinction criteria.
Learning Aims:
### Records of molecules, kept here for reference
~~~
(1)
Computed, not measured: C5H4ClFO as an isolated structure, with ωB97M-V/def2-TZVPD.

HOMO energy = -8.606 eV
ΔE to the lowest compared entry with this formula, charge and spin = 65.84 kcal per mole
orbital gap = 9.30 eV
E_LUMO = 0.0255 Ha

ORCA input file:
```
! RIJCOSX wB97M-V def2-TZVPD def2/J DEFGRID3
* xyz 0 1
H -1.6638 1.3772 -0.5860
H 1.6195 0.8452 1.9809
H 1.3694 -2.1335 -1.1862
H -1.9095 -0.4761 0.3835
C 0.8888 -1.2034 -0.7524
C -0.0342 0.9721 0.8096
O 1.4376 -0.7676 0.5174
C -0.1851 -0.5355 -1.1543
F -0.3886 2.1110 1.4479
C 1.1293 0.4121 1.1614
Cl -1.2472 -1.0448 -2.4783
C -1.0162 0.4433 -0.1434
*
```


(2)
Computed, not measured: a 2-piece molecular cluster, C5H4ClN3O2 overall, with ωB97M-V/def2-TZVPD.

HOMO energy (spin up / spin down) = -8.649 / -8.763 eV
ΔE to the lowest compared entry with this formula, charge and spin = 0.00 kcal per mole
orbital gap (spin up / spin down) = 7.47 / 7.89 eV
E_LUMO (spin up / spin down) = -0.0433 / -0.0322 Ha

ORCA input file:
```
! RIJCOSX wB97M-V def2-TZVPD def2/J DEFGRID3
* xyz 0 1
H 0.1913 1.1217 -2.4071
O -3.2160 -0.0632 0.0799
C 1.6789 -0.0705 -1.4047
C 1.0319 -0.7537 0.7926
H 1.2031 -1.2633 1.7269
Cl -1.5392 -1.0879 2.5647
O -2.7534 2.0181 0.5703
H 2.8665 -1.3308 -0.1290
N -1.0305 0.2236 1.6122
H 2.3819 -0.0568 -2.2201
C 0.4666 0.5908 -1.5063
C -0.1486 -0.0188 0.6087
N -2.6462 0.8666 0.4871
C 1.9480 -0.7721 -0.2348
N -0.4345 0.5964 -0.5403
*
```


(3)
Computed, not measured: an isolated ion of composition C5H4ClO2S and charge -1, with ωB97M-V/def2-TZVPD.

HOMO energy = -3.564 eV
orbital gap = 6.67 eV
E_LUMO = 0.1143 Ha

ORCA input file:
```
! RIJCOSX wB97M-V def2-TZVPD def2/J DEFGRID3
* xyz -1 1
C 0.2776 -1.0999 -0.1797
S -1.8944 0.2013 -1.6835
C -0.2934 0.2612 -0.5604
H -0.2199 2.0976 0.6374
Cl 2.0198 -2.0287 1.8784
C 0.0215 1.0634 0.4770
C 1.1414 -0.7281 1.0284
C 1.0029 0.5371 1.4273
H 1.4468 1.0585 2.1686
O -2.4500 1.4679 -1.1474
O -1.5176 0.3096 -3.1174
H 1.0685 -1.5109 -0.8860
H -0.6031 -1.6289 -0.0426
*
```


(4)
Computed, not measured: C5H4F15NaO17S5 as an isolated structure, with ωB97M-V/def2-TZVPD.

HOMO energy = 0.944 eV
ΔE to the lowest compared entry with this formula, charge and spin = 1.60 kcal per mole
orbital gap = 6.38 eV
E_LUMO = 0.2691 Ha

ORCA input file:
```
! RIJCOSX wB97M-V def2-TZVPD def2/J DEFGRID3
* xyz -4 1
F 4.2291 -1.0634 3.4491
S -2.4523 -2.8982 -0.4501
O 0.5697 4.7796 -0.1054
F 3.0385 5.1515 1.1873
H 1.8212 2.0548 -1.7218
O 2.3541 -2.7957 1.9765
S 0.9111 3.6364 0.7254
O 0.8985 -2.9905 -4.3158
F -4.2658 1.1260 2.8443
C 1.2350 -4.1931 -2.0079
O 1.8481 -0.9233 0.4465
F 3.2822 3.1233 1.9165
C 2.7946 3.8452 0.9394
O 2.9022 -2.4010 -3.0116
F -0.0106 -4.6660 -2.1513
F 4.0422 0.5864 2.0926
C -4.0487 -2.3610 0.3969
Na 0.0827 0.0642 -0.7013
H 1.6510 1.1804 -2.9744
S 1.4557 -2.6089 -3.0257
O 0.4598 3.7373 2.1097
H -1.1276 2.3022 -1.7634
F -3.8147 -1.7148 1.5316
O -1.7208 -1.6520 -0.5365
F 2.3506 0.0230 3.3103
O -2.8928 -3.4189 -1.7303
O 0.7188 2.3356 0.0664
~~~
- To learn how to mark and assess a pass criteria
- To learn how to mark and assess a distinction criteria
- To investigate what makes a distinction piece of work different from a merit piece of work.
Once you have understood how to apply the standard in this session, you can then apply this principal across the unit(s) that you teach.
This event and the qualification covered, is for UK centres only.
This event counts as 2 hours CPD.
Event Fee (GBP)
£66.00 (Incl. VAT)
Register for 6 October 4-6pm
Pearson Event Code 21UKVESPOSM-01
Register for 17 November 4-6pm
Pearson Event Code 21UKVESPOSM-02
Register for 30 November 4-6pm
Pearson Event Code 21UKVESPOSM- 03
The British Esports Association have an interesting article containing advice on how to get into esports casting which may be of interest to our esports teachers and learners.
Level 2 Esports
This is where you will find the specification for the
- Award (120 glh)
- Certificate (240 glh)
- Diploma (360 glh)
No external assessment
Performance tables (England): Not on performance measures (England)
These qualifications are for learners who want to develop a range of skills within the esports and related industries. They are designed primarily for learners at post-16, but are suitable qualifications for 14-16 and post-16 learners as part of their wider study programme. They are ideal qualifications for learners intending to progress to further education at level 3 or to an apprenticeship within esports and related industries.
Funding: 16-18, 19+
The document below is intended to provide you with guidance for how you might adapt delivery for the BTEC Level 2 Esports qualifications in the academic year of 2021-2022.
Streamlined assessment
Streamlined assessment is where you will only be required to assess one Learning Aim from the selected unit.
Streamlined unit assessment means that the number of internally assessed units that need to be assessed in full is reduced, these could be mandatory or optional, but cannot be units that are synoptic.
So, for the BTEC Level 2 Award in Esports, it would have to be Unit 1.
For the BTEC Level 2 Certificate in Esports, it would have to be Unit 1.
For the BTEC Level 2 Diploma in Esports, it would have to be one of Units 3, 4, 6 or 7.
We have assignment briefs for Units 1-4.
Level 1 Esports
Esports can be delivered at level 1 by changing the context of units within our Vocational Studies qualifications. Vocational Studies qualifications give learners the opportunity to study units across different sectors with the main focus being the development of transferable skills. All units are internally assessed.